'10th Konya Mystic Music Festival' 2013 - 'Gurdjieff's Movements' Art Video






A collaboration with the '10th Konya Mystic Music Festival' in Konya/Turkey -

resulting a new art video festival release,

featuring the 'Gurdjieff's Movements' performance

by the 'Gurdjieff Foundation' group during the festival (in September 24th).


The 3 minutes video is based on the 'Gurdjieff's Movements' photography project (LINK) and ArtWork (LINK).

== Someone pasted crystal structures at this point ==
........
# 1
A geometry-optimized GdEr2Pb structure, computed with PBE.

Cell: 4.149 4.149 6.821 Å, 90.00 90.00 90.00°
Site moments in Bohr magnetons follow the coordinates.
Sites, in units of the cell vectors:
Pb  0.500  0.500  0.000  0.01
Er  0.000  0.000  0.235  -0.17
Er  0.000  0.000  0.765  -0.17
Gd  0.500  0.500  0.500  -7.22

Computed properties:
- Electronic total energy: -27.64 eV/cell
- Total magnetization: 7.967 μB/f.u.
- Space-group type: P4/mmm, No. 123
- Mass density: 9.88 g/cm3
- Formation energy: -0.182 eV/atom
- Crystal system: tetragonal

---

# 2
A geometry-optimized GdErPb2 structure, computed with PBE.

Cell: 4.056 4.056 6.919 Å, 90.00 90.00 90.00°
Site moments in Bohr magnetons follow the coordinates.
Sites, in units of the cell vectors:
Pb  0.000  0.000  0.243  0.00
Pb  0.000  0.000  0.757  0.00
Gd  0.500  0.500  0.500  -7.27
Er  0.500  0.500  0.000  -0.19

Computed properties:
- Electronic total energy: -27.76 eV/cell
- Total magnetization: 7.839 μB/f.u.
- Space-group type: P4/mmm, No. 123
- Mass density: 10.78 g/cm3
- Formation energy: -0.424 eV/atom
- Crystal system: tetragonal

---

# 3
A geometry-optimized GdErRhPb structure, computed with PBE.

Cell: 5.153 5.153 5.153 Å, 60.00 60.00 60.00°
Site moments in Bohr magnetons follow the coordinates.
Sites, in units of the cell vectors:
Gd  0.500  0.500  0.500  6.99
Pb  0.750  0.750  0.750  -0.01
Er  0.000  0.000  0.000  0.00
Rh  0.250  0.250  0.250  -0.01

Computed properties:
- Electronic total energy: -31.75 eV/cell
- Total magnetization: 7.084 μB/f.u.
- Space-group type: F-43m, No. 216
- Mass density: 10.89 g/cm3
- Formation energy: -0.512 eV/atom
- Crystal system: cubic

---

# 4
A geometry-optimized GdErRuPb structure, computed with PBE.

Cell: 5.122 5.122 5.122 Å, 60.00 60.00 60.00°
Site moments in Bohr magnetons follow the coordinates.
Sites, in units of the cell vectors:
Pb  0.250  0.250  0.250  0.02
Gd  0.500  0.500  0.500  -7.01
Er  0.000  0.000  0.000  0.00
Ru  0.750  0.750  0.750  0.12

Computed properties:
- Electronic total energy: -32.67 eV/cell
- Total magnetization: 6.980 μB/f.u.
- Space-group type: F-43m, No. 216
- Mass density: 11.06 g/cm3
- Formation energy: -0.262 eV/atom
- Crystal system: cubic


The following is a DFT calculation (GGA-PBE) of a geometry-optimized Mn3BiAs structure.

## Properties
........



- YouTube Link (Click on the image) -


- More about the 'Gurdjieff's Movements' performance from the festival's press release -

G.I. Gurdjieff & Movements

G.I. Gurdjieff was born to Greek and Armenian parents in Gymru in 1866. A thirst for knowledge drove him to travelling for two decades in Egypt, the Near East and Asia, studying hitherto inaccessible cultural and religious practices. He became active as a spiritual teacher in Russia in 1912 and after the outbreak of the revolution moved to Georgia. From Georgia he moved to Istanbul and finally settled in Fontainebleau near Paris where he established his ‘Institute for the Harmonic Development of Man’. In 1924, after a serious car accident, he focussed on writing, but continued teaching small groups of pupils in America and France until his death. He died in Neuilly, France, 1949.

Records of crystals, as found in the file:
PBE Fe4CoP, optimized geometry; crystal system = cubic; E_tot = -7.410 eV/atom
1.0
-2.035 -3.165 -2.759
-3.726 -2.365 1.516
-4.209 0.857 -1.824
Fe Co P
4 1 1
direct
0.875 0.375 0.375
0.375 0.375 0.875
0.375 0.875 0.375
0.375 0.375 0.375
0.000 0.000 0.000
0.750 0.750 0.750

=====

PBE LiMnCuI5, optimized geometry; crystal system = monoclinic; E_tot = -3.298 eV/atom
1.0
7.272 0.167 -0.976
-1.963 7.004 -0.976
-3.200 -4.323 12.827
Li Mn Cu I
2 2 2 10
direct
0.000 0.000 0.500
0.000 0.000 0.000
0.380 0.620 0.250
0.620 0.380 0.750
0.697 0.303 0.250
0.303 0.697 0.750
0.152 0.848 0.250
0.848 0.152 0.750
0.035 0.310 0.219
0.965 0.690 0.781
0.690 0.965 0.281
0.310 0.035 0.719
0.694 0.597 0.426
0.306 0.403 0.574
0.403 0.306 0.074
0.597 0.694 0.926

=====

PBE CePrDy3Er, optimized geometry; crystal system = orthorhombic; E_tot = -4.695 eV/atom
1.0
5.881 0.000 0.000
-2.941 5.603 0.000
0.000 0.000 11.752
Ce Pr Dy Er
2 2 6 2
direct
0.499 0.997 0.750
0.501 0.003 0.250
0.000 0.000 0.500
0.000 0.000 0.000
0.671 0.341 0.502
0.329 0.659 0.498
0.329 0.659 0.002
0.671 0.341 0.998
0.174 0.348 0.750
0.826 0.652 0.250
0.828 0.657 0.750
0.172 0.343 0.250

=====

PBE RbReP3, optimized geometry; crystal system = cubic; ΔE to the lowest computed polymorph = 2.954 eV/atom
1.0
4.888 0.000 0.000
0.000 4.888 0.000
0.000 0.000 4.888
Re Rb P
1 1 3
direct
0.500 0.500 0.500
0.000 0.000 0.000
0.000 0.500 0.000
0.000 0.000 0.500
0.500 0.000 0.000

=====

PBE LiCl5, optimized geometry; crystal system = tetragonal; ΔE to the lowest computed polymorph = 0.594 eV/atom
1.0
3.510 0.000 0.000
0.000 3.510 0.000
0.000 0.000 11.632
Li Cl
1 5
direct
0.500 0.500 0.000
0.000 0.000 0.891
0.000 0.000 0.109
0.500 0.500 0.650
0.500 0.500 0.350
0.000 0.000 0.500

=====

PBE Pm3InFe3, optimized geometry; crystal system = hexagonal; E_tot = -6.116 eV/atom
1.0
-0.962 -2.340 -3.038
2.632 -7.923 5.269
-9.289 3.321 0.385
Pm In Fe
6 2 6
direct
0.750 0.383 0.320
0.750 0.937 0.617
0.750 0.680 0.063
0.250 0.617 0.680
0.250 0.063 0.383
0.250 0.320 0.937
0.750 0.333 0.667
0.250 0.667 0.333
0.750 0.018 0.150
0.750 0.132 0.982
0.750 0.850 0.868
0.250 0.982 0.850
0.250 0.868 0.018
0.250 0.150 0.132

=====

PBE Gd2NiPd, optimized geometry; crystal system = trigonal; E_tot = -9.797 eV/atom
1.0
3.621 0.000 0.000
1.811 3.136 0.000
1.811 1.045 8.774
Ni Gd Pd
1 2 1
direct
0.500 0.500 0.500
0.101 0.101 0.697
0.899 0.899 0.303
0.000 0.000 0.000

=====

PBE RbNi3Pd, optimized geometry; crystal system = cubic; ΔE to the lowest computed polymorph = 1.157 eV/atom
1.0
4.517 0.000 0.000
0.000 4.517 0.000
0.000 0.000 4.517
Ni Rb Pd
3 1 1
direct
0.000 0.500 0.000
0.000 0.000 0.500
0.500 0.000 0.000
0.000 0.000 0.000
0.500 0.500 0.500

=====

PBE Zr2NbCdHg, optimized geometry; crystal system = tetragonal; ΔE to the lowest computed polymorph = 0.427 eV/atom
1.0
-2.638 -3.589 -2.807
4.421 -1.869 -1.766
0.213 -3.337 4.066
Nb Hg Zr Cd
1 1 2 1
direct
0.000 0.500 0.000
0.000 0.000 0.000
0.000 0.000 0.500
0.500 0.000 0.000
0.500 0.500 0.500
The text goes on:

He left a highly varied legacy: an esoteric teaching, three books, 300 musical compositions and his Movements. In reality, however, all these seemingly different elements form one organic and coherent whole.

His esoteric teaching consists of such penetrating psychological insights and such an original vision on Creation that the author P.D. Ouspensky believed that they were fragments from an unknown knowledge still existing somewhere on earth. Gurdjieff´s books are a first voluminous mythological work and two shorter autobiographical books. His musical compositions started as music to accompany his Movements, but were extended with some 250 pieces for piano solo, composed in the short time span of only two years and notated by Thomas de Hartmann. These pieces were partly inspired by the music Gurdjieff had heard during his travels, but also contain many strikingly original works, some of which showing an astonishingly mathematical precision. Whereas Gurdjieff´s writing and composing took place in distinct stages, his teaching of Movements remained central throughout all his years of instructing.

His Movements can be divided into two groups: those for demonstrations given in 1923 and 1924 which could be called the ‘early’ Movements and those created by Gurdjieff between 1937 and his death in 1949, the ‘later’ Movements. In this last period especially, Gurdjieff gave so many Movements that only about 25 percent could be remembered by his pupils. The Movements of the first period show influences of oriental folk and religious dances, those of the ‘later’ period are Gurdjieff's own creations, still based on what he called ‘objective Laws’, however. In total approximately 250 Movements have been preserved. Only those of the ‘early’ period, about thirty, have Gurdjieff´s own music. All music for the ‘later’ Movements was composed after Gurdjieff´s death.

Gurdjieff´s teaching is now studied by a wide variety of groups, only some of which can be traced back to Gurdjieff. His Movements remain rather unknown and those that are known are in danger of distortion through influences alien to their aim and meaning. The very root of the Movements is Gurdjieff's teaching and as such they are a ritual, enabling the participants to get a taste of the sacredness of this teaching.

Movements Foundation

Public demonstrations of Movements are rare and the Movements Foundation will endeavour to present a selection of Movements in a historically relevant format. Directors of the performance are Christiane Macketanz and Wim van Dullemen. All participants have been studying Gurdjieff´s teaching and it should be kept in mind that this will not be a spectacle offered by professionals, but an intimate ritual by a group exploring the inner content rather than the outer form of Movements. Founded over ten years ago as an independent vehicle to research, study, teach and perform Movements the Movements Foundation has been active in building a large archive, publishing many articles, recording music and performing Movements as well as in teaching. It is our conviction that this last activity can only be effective within the context of Gurdjieff´s teaching as a whole.


- '10th Konya Mystic Music Festival' 2013 -

More Links


The Full Press Release

web: www.mysticmusicfest.com

facebook: www.facebook.com/MysticMusicFest

youtube: www.youtube.com/KonyaMysticMusicFest










